## Input
Run w
This record from OMol25 describes a molecular structure, C4H10N2S. The level of theory is ωB97M-V/def2-TZVPD.

Structure (ORCA input):
```
! wB97M-V def2-TZVPD RIJCOSX def2/J DEFGRID3
* xyz 0 1
S -0.0147 1.6233 0.3682
N 0.3104 0.6985 -1.1369
N -0.0288 -0.8260 -2.8236
C 0.7406 -0.4683 2.1322
C 1.2741 0.9488 1.6996
C -1.6942 -0.5388 -1.1048
C -0.5245 -0.1808 -1.8807
H 1.7360 1.8512 2.3377
H 0.9343 1.2357 -1.5683
H 1.4593 -0.6157 2.9499
H 2.2494 0.7632 0.8361
H -0.8472 -1.4810 -2.8420
H -2.1631 -1.6302 -1.2188
H -2.6204 0.3782 -1.7202
H -0.2880 -0.2631 2.3927
H -1.5086 -0.2103 0.2056
H 0.9852 -1.2845 1.3733
*
```

Computed properties:
- orbital gap (eV) = 9.491



Run x
This record from OMol25 describes a molecular structure, C4H10N2S. The level of theory is ωB97M-V/def2-TZVPD.

Structure (ORCA input):
```
! wB97M-V def2-TZVPD RIJCOSX def2/J DEFGRID3
* xyz 0 1
S -0.0438 -0.9340 0.1096
N -0.2157 -0.9251 1.6618
N 0.7511 -2.1629 -0.4255
C 0.8818 0.6803 -0.3632
C 2.3124 0.3181 -0.1489
C -2.2215 -0.1036 -0.5965
C -3.0241 -0.0127 0.4312
H -4.0811 0.1981 0.4175
H 0.4526 -2.3869 -1.3631
H -2.0108 0.2961 -1.5407
H -2.6467 -0.5133 1.2449
H 2.9105 1.1312 -0.1802
H 2.6385 -0.2081 -1.0230
H 0.1105 -1.9303 2.0534
H 0.3342 1.4569 0.3394
H 0.6887 0.8903 -1.3751
H 2.3845 -0.2039 0.7502
*
```

Computed properties:
- orbital gap (spin up / spin down) (eV) = 8.223 / 8.220



Run y
This record from OMol25 describes a single C4H10N2S molecule. The level of theory is ωB97M-V/def2-TZVPD.

Structure (ORCA input):
```
! wB97M-V def2-TZVPD RIJCOSX def2/J DEFGRID3
* xyz 0 1
S 0.8014 2.1336 -0.0171
N 3.1383 -0.1893 0.0831
N 2.0060 -0.8749 -0.0205
C -0.4787 0.1432 -1.4231
C -1.4347 0.7840 0.7994
C 0.8303 -0.5341 0.5775
C -0.0873 0.6163 -0.0231
H 1.0677 -0.2624 1.6335
H 0.1332 -1.4882 0.5738
H -1.6646 -0.2378 1.1449
H 3.1641 0.5985 0.6036
H -0.6968 -0.9067 -1.4253
H 2.0027 -1.3873 -0.8305
H -2.1185 1.0297 0.0181
H -1.1923 1.3875 1.6637
H 0.2360 0.5057 -2.1604
H -1.3518 0.6758 -1.6232
*
```

Computed properties:
- orbital gap (spin up / spin down) (eV) = 5.667 / 5.668



Verdict on stability: run x comes out at the bottom.



Run w
This record from OMol25 describes 2 unconnected molecules or ions with the total composition C11H14N2. The level of theory is ωB97M-V/def2-TZVPD.

Structure (ORCA input):
```
! wB97M-V def2-TZVPD RIJCOSX def2/J DEFGRID3
* xyz 0 1
N 1.0203 -1.6404 -0.5952
N 1.2054 0.2908 -1.6378
C 0.1341 1.0343 2.3626
C -0.4315 2.8594 0.8446
C -0.6638 0.1740 1.6289
C -0.7780 -1.2633 2.1259
C -1.2825 0.6019 0.4652
C -1.0484 1.9110 0.0131
C 0.3872 -1.7479 -1.8114
C 0.4851 -0.5517 -2.4665
C -0.5632 -2.8669 -2.0814
C 0.2332 2.3679 1.9563
C 1.4985 -0.4333 -0.5188
H 0.6634 0.7199 3.2502
H -1.6657 -0.1638 -0.1972
H -0.0173 -3.8077 -2.1945
H -1.3547 2.0550 -1.0172
H 1.9986 -0.0365 0.3442
H 1.1838 1.2836 -1.8188
H -1.1460 -2.7743 -2.9956
H -1.7540 -1.3551 2.6013
H 0.1838 -0.2926 -3.4670
H -0.5217 3.9061 0.6031
H 0.7735 3.1002 2.5501
H -1.2494 -3.0431 -1.2501
H -0.5881 -1.9755 1.3255
H 0.0154 -1.4753 2.8456
*
```

Computed properties:
- SMILES string = Cc1c[nH]cn1.Cc1ccccc1
- orbital gap (eV) = 9.383



Run x
This record from OMol25 describes 2 unconnected molecules or ions with the total composition C11H14N2. The level of theory is ωB97M-V/def2-TZVPD.

Structure (ORCA input):
```
! wB97M-V def2-TZVPD RIJCOSX def2/J DEFGRID3
* xyz 0 1
N -1.8536 -1.0245 -0.0683
N -1.1860 -0.6545 2.0331
C -1.4075 -2.2452 0.3876
C 0.2379 1.1633 -2.1844
C -0.2374 2.4258 -2.0909
C 1.6313 -0.6746 -0.8800
C -1.0203 -2.0170 1.7873
C 1.3826 3.0326 -0.3408
C 1.2817 0.7299 -1.2357
C -0.5628 -2.9672 2.8717
C 1.8933 1.7714 -0.3448
C 0.2179 3.3782 -1.1751
C -1.8268 -0.1249 0.9603
H 1.9615 3.8110 0.0739
H -0.1603 0.3689 -2.7111
H -2.1967 -0.7750 -1.0056
H -0.1289 4.4422 -1.0677
H -1.0128 -2.6321 3.8098
H 2.5527 -0.6651 -0.3275
H 0.8161 -0.9303 -0.2115
H -2.1198 0.8365 0.9492
H -0.9875 2.7858 -2.7936
H 2.7319 1.4264 0.3364
H 0.5679 -2.9690 2.7075
H 1.7607 -1.3414 -1.7595

## Activity
Please write out only the last part of the data above, starting with the line that has "0.2332 2.3679".

## Response
C 0.2332 2.3679 1.9563
C 1.4985 -0.4333 -0.5188
H 0.6634 0.7199 3.2502
H -1.6657 -0.1638 -0.1972
H -0.0173 -3.8077 -2.1945
H -1.3547 2.0550 -1.0172
H 1.9986 -0.0365 0.3442
H 1.1838 1.2836 -1.8188
H -1.1460 -2.7743 -2.9956
H -1.7540 -1.3551 2.6013
H 0.1838 -0.2926 -3.4670
H -0.5217 3.9061 0.6031
H 0.7735 3.1002 2.5501
H -1.2494 -3.0431 -1.2501
H -0.5881 -1.9755 1.3255
H 0.0154 -1.4753 2.8456
*
```

Computed properties:
- SMILES string = Cc1c[nH]cn1.Cc1ccccc1
- orbital gap (eV) = 9.383



Run x
This record from OMol25 describes 2 unconnected molecules or ions with the total composition C11H14N2. The level of theory is ωB97M-V/def2-TZVPD.

Structure (ORCA input):
```
! wB97M-V def2-TZVPD RIJCOSX def2/J DEFGRID3
* xyz 0 1
N -1.8536 -1.0245 -0.0683
N -1.1860 -0.6545 2.0331
C -1.4075 -2.2452 0.3876
C 0.2379 1.1633 -2.1844
C -0.2374 2.4258 -2.0909
C 1.6313 -0.6746 -0.8800
C -1.0203 -2.0170 1.7873
C 1.3826 3.0326 -0.3408
C 1.2817 0.7299 -1.2357
C -0.5628 -2.9672 2.8717
C 1.8933 1.7714 -0.3448
C 0.2179 3.3782 -1.1751
C -1.8268 -0.1249 0.9603
H 1.9615 3.8110 0.0739
H -0.1603 0.3689 -2.7111
H -2.1967 -0.7750 -1.0056
H -0.1289 4.4422 -1.0677
H -1.0128 -2.6321 3.8098
H 2.5527 -0.6651 -0.3275
H 0.8161 -0.9303 -0.2115
H -2.1198 0.8365 0.9492
H -0.9875 2.7858 -2.7936
H 2.7319 1.4264 0.3364
H 0.5679 -2.9690 2.7075
H 1.7607 -1.3414 -1.7595